~~~
{
  "formula": "SrY2Ru",
  "functional": "PBE-GGA",
  "state": "relaxed",
  "formation_energy_mev_per_atom": 354,
  "dos_ef_per_ev_cell": 4.74,
  "de_polymorph_mev_per_atom": 511,
  "cell": [[4.442, 0.000, 0.000], [0.000, 4.678, 0.000], [0.000, 0.000, 5.099]],
  "species": ["Sr", "Y", "Y", "Ru"],
  "frac_coords": [[0.000, 0.000, 0.000], [0.500, 0.000, 0.500], [0.500, 0.500, 0.000], [0.000, 0.500, 0.500]]
}
~~~

The reader should copy every line earlier on that contains the word "functional".

  "functional": "PBE-GGA",